Social famous quotes
A tremendous social responsibility comes with being a successful public performer.
-- A. Bartlett Giamatti -
And the venality of those Judaized is incapable of explaining anti-Semitism as a social phenomenon, we will call it the anti-Semitic theory.
-- A. C. Cuza -
The science of anti-Semitism has as its object Judaism as a social problem, being thus, necessarily, the synthesis of all sciences that can contribute to its solution.
-- A. C. Cuza -
What's clear - and exciting - is that communication for social change is growing.
-- Aaron Koblin -
In the actual state of social relationships, the forms ("formes", Fr.) of politeness are necessary as a subsitute to benevolence.
-- African Spir -
Humor, in one form or another, is characteristic of every nation; and reflecting the salient points of social and national life, it illuminates those crowded corners which history leaves obscure.
-- Agnes Repplier -
Despite being in showbiz, I have a very real approach to my life. It plays off with my social life.
-- Aishwarya Rai Bachchan -
And just as the false assumption that we are not connected to the earth has led to the ecological crisis, so to the equally false assumption that we arenot connected to each other that has led to our social crisis.
-- Al Gore -
Directing is physically exciting because there's a ticking clock, you're working with people, it's very social, it's very enjoyable.
-- Alan Ball -
If you get beyond the political rhetoric [and assembled a group to solve Social Security] it would take them 15 minutes. It would take them 15 minutes only because 10 minutes was used for pleasantries.
-- Alan Greenspan -
Striving for social justice is the most valuable thing to do in life.
-- Albert Einstein -
It is unfortunately none too well understood that, just as the State has no money of its own, so it has no power of its own. All the power it has is what society gives it, plus what it confiscates from time to time on one pretext or another, there is no other source from which State power can be drawn. Therefore every assumption of State power, whether by gift or seizure leaves society with so much less power; there is never, nor can be, any strengthening of State power without a corresponding and roughly equivalent depletion of social power.
-- Albert J. Nock -
reading is at the beginning of the social contract
-- Alberto Manguel -
Nonconformity is the highest evolutionary attainment of social animals.
-- Aldo Leopold -
No social stability without individual stability.
-- Aldous Huxley -
The notion that employees and companies have a social contract with each other that goes beyond a paycheck has largely vanished in United States business.
-- Alex Berenson -
I missed the moment when time collapsed and memory was erased, replaced by finicky social experiments, lost in the blur of intoxication, sucked through multi-colored bendy-straws
-- Alex Gaskarth -
More retirees, longer life expectancy, larger benefits, and fewer workers - these trends have meant substantial increases in the payroll tax. Since the social security program began, the payroll tax has increased more than 500 percent.
-- Alex Tabarrok -
Regulation of sexual behavior is the preferred route to wider social control.
-- Alexander Cockburn -
Thus God and nature linked the gen'ral frame, And bade self-love and social be the same.
-- Alexander Pope -
Social standing does not necessarily translate to social acceptance.
-- Alexandra Robbins -
Each human being is a more complex structure than any social system to which he belongs.
-- Alfred North Whitehead -
I hold with Henry George, that at the back of every great social evil will be found a great political wrong
-- Alfred Russel Wallace -
We must not think that religious concerns swamped all other social activities. They simply provided a focal point for them.
-- Alister E. McGrath -
I left Delhi, in 1971, shortly after Collective Choice and Social Welfare was published in 1970.
-- Amartya Sen -
You were doing a TV show - you don't realise that you're also making social commentary at the same time.
-- Amber Benson -
A system that warehouses people is not the cure for social ills
-- Amiri Baraka -
I was with Shaq at his home the day he retired. It was innovative for him to become the media and announce via social media that he was retiring.
-- Amy Jo Martin -
Social media provides an avenue to build relationships with media outlets and have an ongoing relationship with reporters.
-- Amy Jo Martin -
Music as a social conduit has always been important to me.
-- Andrew Bird -
I still like being in North of England and I keep a place there. But there are a lot of things about the Continent that are to be preferred. The social institutions work better, women have a better position in society and the food is another thing.
-- Andrew Eldritch -
I just wish this social institution [religion] wasnt based on what appears to me to be a monumental hoax built on an accumulation of customs and myths directed toward proving something that isnt true.
-- Andy Rooney -
The question is always 'What is the role of a labor movement?' How much is about collective bargaining, how much is about social change for all workers?
-- Andy Stern -
If you aren't building a social enterprise, I don't know what your business model will be in 5 years
-- Angela Ahrendts -
Imprisonment has become the response of first resort to far too many of our social problems.
-- Angela Davis -
I'm suggesting that we abolish the social function of prisons.
-- Angela Davis -
The most exhausting thing in life, I have discovered, is being insincere. That is why so much of social life is exhausting; one is wearing a mask. I have shed my mask.
-- Anne Morrow Lindbergh -
Nothing in science has any value to society if it is not communicated, and scientists are beginning to learn their social obligations.
-- Anne Roe -
My generation was, in effect, the product of a social experiment. If we did not understand marital intimacy, it was because we had not seen it modelled. We lurched from relationship to relationship, dazzled by the newness of meaninglessness, relentless in our search for something even the most perceptive of us could not identify.
-- Antonella Gambotto-Burke -
Lasting social change unfolds from inside out: from the inner to the outer being, from inner to outer realities.
-- Arianna Huffington -
Another essential to a universal and durable peace is social justice.
-- Arthur Henderson -
Modern capitalism, organising the reduction of all social life to a spectacle, cannot offer any spectacle other than that of our own alienation.
-- Attila Kotanyi -
For my whole life, my favorite activity was reading. It's not the most social pastime.
-- Audrey Hepburn -
The making of art is a profoundly social activity, even if it’s one-on-one with some sort of ideal reader who doesn’t exist.
-- August Kleinzahler -
I dont write particularly to effect social change. I believe writing can do that, but thats not why I write.
-- August Wilson -
• Between two parts of the page: materials data:
********
Y8InOs2: simulated powder X-ray diffraction pattern (copper Kα), based on a structure optimized by DFT (PBE).
No peak broadening, texture or thermal motion is included.

Structure:
```
data_Y8InOs2
_cell_length_a 17.5213
_cell_length_b 5.2591
_cell_length_c 6.9698
_cell_angle_alpha 90.00
_cell_angle_beta 113.41
_cell_angle_gamma 90.00
_symmetry_space_group_name_H-M 'C 1 m 1'
_symmetry_Int_Tables_number 8
loop_
_symmetry_equiv_pos_as_xyz
'x,y,z'
'x,-y,z'
'x+1/2,y+1/2,z'
'x+1/2,-y+1/2,z'
loop_
_atom_site_label
_atom_site_fract_x
_atom_site_fract_y
_atom_site_fract_z
_atom_site_occupancy
Y1 0.0000 0.0000 0.0000 1
Y2 0.0006 0.5000 0.2724 1
Y3 0.1098 0.5000 0.8393 1
Y4 0.1702 0.0000 0.5326 1
Y5 0.2109 0.0000 0.1146 1
Y6 0.2895 0.5000 0.6939 1
Y7 0.3306 0.5000 0.1937 1
Y8 0.3905 0.0000 0.6194 1
In1 0.0004 0.0000 0.5674 1
Os1 0.1712 0.5000 0.2690 1
Os2 0.3298 0.0000 0.9276 1
```

Largest 10 diffraction maxima, in order of falling intensity, 2θ = 5–70°:
2theta	d/Å	I (rel.)
35.1	2.554	100
34.1	2.630	65
30.8	2.903	35
31.3	2.859	32
20.9	4.249	31
39.9	2.259	30
42.5	2.125	24
33.4	2.680	22
61.7	1.503	21
21.2	4.198	21

~~~~~

No. 1
This entry pairs a crystal structure of RbTbSiSe4 with its calculated powder diffractogram. Radiation: λ = 1.5418 Å (Cu Kα). Structure: a cell relaxed with PBE.
No peak broadening, texture or thermal motion is included.

Main lines, by intensity (5 to 70 degrees two-theta):
2θ/deg  I/Imax
9.8  1000
30.5  593
32.8  479
29.1  466
28.9  465
32.4  450
31.6  371
27.6  346
38.2  326
18.8  322
25.4  321
48.1  307

Structure:
a = 6.698 Å, b = 7.005 Å, c = 9.462 Å
α = 90.00°, β = 108.12°, γ = 90.00°
Fractional positions:
Rb (0.243, 0.250, 0.439)
Rb (0.757, 0.750, 0.561)
Tb (0.272, 0.250, 0.951)
Tb (0.728, 0.750, 0.049)
Si (0.280, 0.750, 0.167)
Si (0.720, 0.250, 0.833)
Se (0.073, 0.750, 0.926)
Se (0.083, 0.750, 0.324)
Se (0.491, 0.504, 0.794)
Se (0.491, 0.996, 0.794)
Se (0.509, 0.004, 0.206)
Se (0.509, 0.496, 0.206)
Se (0.917, 0.250, 0.676)
Se (0.927, 0.250, 0.074)



No. 2
This entry pairs a crystal structure of RbSm2Se with its calculated powder diffractogram. Radiation: λ = 1.5418 Å (Cu Kα). Structure: a cell relaxed with PBE.
No peak broadening, texture or thermal motion is included.

Main lines, by intensity (5 to 70 degrees two-theta):
2θ/deg  I/Imax
7.8  1000
33.3  734
25.7  389
45.0  352
28.8  352
37.0  283
26.1  282
23.6  258
51.5  188
57.1  176
50.4  157
68.2  156

Structure:
a = 11.536 Å, b = 11.536 Å, c = 11.536 Å
α = 20.09°, β = 20.09°, γ = 20.09°
Fractional positions:
Rb (0.000, 0.000, 0.000)
Sm (0.117, 0.117, 0.117)
Sm (0.883, 0.883, 0.883)
Se (0.500, 0.500, 0.500)



No. 3
This entry pairs a crystal structure of Rb2SmTlSe4 with its calculated powder diffractogram. Radiation: λ = 1.5418 Å (Cu Kα). Structure: a cell relaxed with PBE.
No peak broadening, texture or thermal motion is included.

Main lines, by intensity (5 to 70 degrees two-theta):
2θ/deg  I/Imax
39.9  1000
27.6  726
28.2  667
28.3  656
12.1  532
49.5  253
********
Wearing a cape doesn't do much for your social life.
-- Austin Grossman -
Democracy is not a form of government, but a form of social organisation.
-- B. R. Ambedkar -
A people and their religion must be judged by social standards based on social ethics. No other standard would have any meaning if religion is held to be necessary good for the well-being of the people.
-- B. R. Ambedkar -
I've been talking about things like reversing the rise of inequality and strengthening social mobility,since before it was cool.
-- Barack Obama -
I would love to see a march on Washington that says 'Save our Social Security'
-- Barbara Boxer -
The destructive one-fourth must be eliminated from the social body.
-- Barbara Marx Hubbard -
I am emphatically against the privatization of Social Security. It is going to hurt millions of American women, American families and ultimately the whole country
-- Barbara Mikulski -
The raw material from which social institutions are fashioned is always more or less recalcitrant and any human society will tend to produce a caricature of itself.
-- Barbara Ward, Baroness Jackson of Lodsworth -
Despite the ethnic diversity within each nation, the social fabric of the region by and large is one.
-- Bashar al-Assad -
The older I get, the more of a recluse I turn into. I love the social aspect of my work. It’s like a commune and gets very intense and very sociable. Then when I am not working, I shut myself away, so I can see myself living up a mountain.
-- Ben Daniels -
I was always interested in social change but never actually did anything about it.
-- Ben Rattray -
The categories within which the colonists thought about the social foundations of politics were inheritances from classical antiquity, reshaped by seventeenth century English thought.
-- Bernard Bailyn -
In no obvious sense was the American Revolution undertaken as a social revolution.
-- Bernard Bailyn -
To Marx the claim of the theory of ideology is that all doctrine is a derivative of social circumstance.
-- Bernard Crick -
The "social contract," in the only sense in which it is not completely mythical, is a contract among conquerors, which loses its raison d'être if they are deprived of the benefits of conquest.
-- Bertrand Russell -
This archaic idea - that a woman who is unmarried and childless at 30 is somehow unnatural - will probably always exist, and, like most social standards, it is ridiculous.
-- Beth Ditto -
The national debate on Social Security has been cheapened by demagoguery on all sides.
-- Bill Delahunt -
Its hard to exaggerate the importance of preserving the financial integrity of Social Security.
-- Bill Delahunt -
The social entrepreneurs are governments' best friends.
-- Bill Drayton -
The most obvious drawback of social media is that they are aggressive distractions.
-- Bill Keller -
I think there's a misconception that I'm opposed to social media.
-- Bill Keller -
If you ever see me in a social setting wearing any sort of sportswear, then you know I'm in crisis.
-- Bill Nighy -
I wanted to use sports for social change.
-- Billie Jean King -
I don't think there is a single social issue I haven't spoken on.
-- Billy Graham -
Gamification is as important as social and mobile.*
-- Bing Gordon -
The potential for social commerce today is “inï¬niteâ€â€¦ Every ecommerce site will have to adapt
-- Bing Gordon -
The reliance on social media as the avenue to get peer insight continues to increase.
-- Bob Johnson -
There is no justice in social justice, and there is no equality in social equality.
-- Brad Thor -
Dresses, I find, are impractical in social situations, but I enjoy wearing them a great deal on stage.
-- Brian Molko -
I was always a bit of a loose cannon, then again I was always the artistic one: bit of a social misfit. I probably still am.
-- Brian Molko -
Increasing the minimum wagewill put billions annually into the Social Security trust fund.
-- Bruce Braley -
Given the credible estimate that we've spent $1 trillion on anti-terrorism security
-- Bruce Schneier -
Change the instruments and you will change the entire social theory that goes with them
-- Bruno Latour -
If your music is great, you will have fans, not because you have spent time chatting on social media.
-- Bryan Adams -
The best social insurance is to make more progress, not to make more work
-- Bryan Caplan -
Capitalism has socialized production. It has brought thousands of people together in the factory and involved them in new social relationships.
-- C. L. R. James -
Technological discoveries are the spermatozoa of social change.
-- C. L. R. James -
History is the shank of the social sciences.
-- C. Wright Mills -
[O]ne could translate the 555 pages of The Social System into about 150 pages of straightforward English. The result would not be very impressive.
-- C. Wright Mills -
The attempt to regulate, control, and prescribe all manner of conduct and social relations is very old. It was always the practice of primitive peoples.
-- Calvin Coolidge -
At American weddings, the quality of the food is in inverse proportion to the social position of the bride and groom.
-- Calvin Trillin -
Prom is a movie that follows a bunch of high-schoolers lives leading up to the prom, the climax of the movie. It focuses all their struggles and the social pressures that prom creates on their lives.
-- Cameron Monaghan -
While it is clear that we need to make some adjustments to protect Social Security for the long term, it is disingenuous to say that the trust fund is facing a crisis
-- Carl Levin -
By carrying the torch, you will be bridging cultural and social barriers, and all the boundaries that separate nation from nation,
-- Carl Lewis -
I fell in love with social work, and that was my undoing as a poet.
-- Carl Rakosi -
The basis of social relationships is reciprocity: if you cooperate with others, others will cooperate with you.
-- Carroll Quigley -
The family was not only the social unit, but also the unit of government.
-- Charles Alexander Eastman -
I don't like a lot of social programs either because it makes you non-productive.
-- Charles Evers -
A lawyer is either a social engineer or he is a parasite on society.
-- Charles Hamilton Houston -
I feel that I have a good enough social radar to tell good people from bad people.
-- Charles Teo -
In business life, that is, in its material processes, we eagerly accept the new. In social life, in all our social processes, we piously, valiantly, obdurately, maintain the old.
-- Charlotte Perkins Gilman